Sunday, February 28, 2010

Just the greatest ...

The best song, by the best band... ever.... period.

Saturday, February 27, 2010


Image copyright VirtuousCirclePhotography / John Colson

huh ...

Its nearly MARCH already..... berluddy hell !

-- begin --
CH5N3O2S | ωB97M-V/def2-TZVPD

```
! RIJCOSX wB97M-V def2-TZVPD def2/J DEFGRID3
* xyz 0 1
O -0.91807 0.49800 1.93744
N -0.15753 -0.33631 1.02845
C 0.03957 0.29290 -0.06171
N -0.23860 1.61428 -0.27620
O 0.30110 2.49832 0.67280
N 0.49317 -0.39268 -1.13222
S 0.20080 -2.09113 -1.20494
H -1.08401 -0.10186 2.65497
H -0.12399 2.01888 -1.18610
H -0.20237 2.24557 1.52202
H 1.43929 -0.17372 -1.54925
H 0.77733 -2.45580 -0.01447
*
```

Results
Gap between HOMO and LUMO, eV: 9.64
E_tot, Eh: -753.9023
SMILES string: O/N=C(\NO)NS


C9H32N6O7 | ωB97M-V/def2-TZVPD

```
! RIJCOSX wB97M-V def2-TZVPD def2/J DEFGRID3
* xyz 0 1
N 2.47247 -0.24959 -0.90696
C 3.19617 -1.17468 -1.44095
N 3.04702 -1.32804 -2.70820
O 4.19172 -1.87455 -0.75442
H 2.57622 -0.04552 0.08528
H 1.45383 -0.01567 -1.17900
H 3.51035 -2.13854 -3.10020
H 2.16100 -1.03518 -3.15515
N 0.84404 1.99630 -3.70748
C 0.05605 0.99984 -4.16458
N -1.10101 1.45666 -4.48143
O 0.37866 -0.31305 -3.99076
H 1.82639 1.80964 -3.32948
H 0.50480 2.95899 -3.58898
H -1.89621 0.83779 -4.65198
H -1.32311 2.52583 -4.50216
N -1.22147 0.98930 1.53281
C -2.50049 1.24136 1.76336
N -2.73404 1.37570 3.00401
O -3.43303 1.59197 0.79344
H -0.93940 0.87652 0.52865
H -0.65894 0.67244 2.39276
H -3.62319 1.49775 3.37638
H -2.01790 1.10063 3.70562
C -0.89659 -1.59651 -0.50161
C -1.16606 -0.29665 -1.20369
O -0.10653 0.62329 -1.12073
H -0.37933 -1.42270 0.44050
H -0.14954 -2.25450 -0.95309
H -1.80975 -2.21603 -0.30583
H -2.14084 0.07372 -0.83177
H -1.35345 -0.39709 -2.26989
H -0.19489 1.33481 -1.75847
C -0.52143 -1.98575 3.45955
C 0.56506 -0.95877 3.72479
O 0.04346 0.33981 3.86072
H -1.25786 -2.09023 4.27392
H -0.11705 -2.96154 3.26611
H -1.02901 -1.75637 2.52880
H 1.24657 -0.87947 2.90572
H 1.21314 -1.16172 4.62044
H 0.70517 0.90002 4.22643
C 2.32433 -3.09439 1.50585
O 3.06325 -3.87823 0.67119
H 1.49359 -3.57611 1.94849
H 1.86895 -2.24571 0.99940
H 2.91999 -2.66896 2.30558
H 3.52531 -3.24489 0.08964
C -1.78941 3.70560 -0.55370
O -3.00793 3.67457 -1.19199
H -1.83886 3.54727 0.53171
H -1.33021 4.68395 -0.63680
H -1.11796 2.98648 -0.87449
H -3.53205 3.06018 -0.67736
*
```

Results
Gap between HOMO and LUMO, eV: 9.22
E_tot, Eh: -1217.2800
SMILES string: NC(N)=O.NC(N)=O.NC(N)=O.CCO.CCO.CO.CO


C5H4N2 | ωB97M-V/def2-TZVPD

```
! RIJCOSX wB97M-V def2-TZVPD def2/J DEFGRID3
* xyz 0 1
C 3.00735 -0.94372 0.73799
C 1.78575 -0.61551 0.71103
C 0.53608 -0.20884 0.36553
C -0.71611 -0.84909 0.39415
N -1.60211 0.01091 -0.16843
N -1.18280 1.13205 -0.62141
C 0.24369 1.02789 -0.44332
H 0.64270 0.64051 -1.39543
H -1.01488 -1.82111 0.75060
H -2.59591 -0.18278 -0.26908
H 0.73262 1.97683 -0.22240
*
```

Results
Gap between HOMO and LUMO (alpha / beta), eV: 7.28 / 7.28
E_tot, Eh: -302.2217


C3H3BrO | ωB97M-V/def2-TZVPD

```
! RIJCOSX wB97M-V def2-TZVPD def2/J DEFGRID3
* xyz 0 1
C 0.77787 -1.80692 0.48506
C 0.16605 -0.82488 0.17773
C -0.59798 0.34896 -0.15545
O -0.31085 1.39113 0.67402
Br -2.59028 -0.16198 0.01910
H 1.31894 -2.66961 0.73691
-- stop --

Wishbone Ash, Robin 2, Bilston.

I visited the Robin 2 for the first time last friday... what a great venue !!
I was there to review 'Martin Turners Wishbone Ash' for Midlands Rocks.... You can check out the review and Claires awesome photos here....

Saturday, February 20, 2010

What a week....

Well... that was a crazy week ! I've driven to Hull (definately not Hell.... I like it there) and back, been to a surprisingly good gig (more about that later), and been stranded in Dublin due to the weather in Birmingham....
With regard to Dublin, I didnt get to see much of the place (a bit like Dubai a few weeks ago, when I flew 3000 miles to spend 24 hours in the city:0( ). However I did have what was probably the greatest carvery Ive ever had the pleasure of feasting upon whilst there (In Dublin, not Dubai). If youre ever in the city, and find yourself in need of a bite to eat to soak up the 'refreshments', go here... ... I really was in culinary heaven ....

Saturday, February 13, 2010

Cobra Starship.....

Caught Cobra Starship at the Slade Rooms in Wolverhampton this week. Wasnt really my thing, but the kids at the show loved it, which hopefully comes across in my friend Angela's review here ... . My photos were rubbish ... trying to dodge flying 16 years isnt conducive to getting good images as you can see from the shot below....
Image Copyright Virtuous Circle Photography / John Colson

Sunday, February 7, 2010

Some random stuff...

Here are a few random images from recent gigs Ive shot...

Not for reproduction. All images copyright Virtuous Circle Photography / John Colson

Melissa Auf Der Maur

I'd forgotten what a sensational artist Melissa Auf Der Maur is until the other day when I dragged one of her CD's out of my collection and gave it a spin.....

Also, check this link out .... another stunning video by Melissa that youtube kindly refuse to let me embed...

Something new....

Not for reproduction. Image Copyright VirtuousCirclePhotography / John Colson

Saturday, February 6, 2010

New work.... courtesy of my little lensbaby....

********
A 3-piece molecular cluster, C3H3BrN2O2S overall, computed with ωB97M-V/def2-TZVPD.

CARTESIAN COORDINATES (ANGSTROEM)
C  -0.423  0.581  -2.523
C  -0.688  -0.429  -1.908
C  -1.016  0.245  0.899
N  0.072  -0.296  1.154
N  -1.986  0.859  0.585
O  2.375  0.917  0.840
O  2.884  -1.118  2.074
S  2.213  0.162  2.092
Br  -1.061  -2.222  -1.485
H  -0.078  1.277  -3.273
H  0.580  -0.831  0.457
H  -2.871  0.854  1.088

As for the expectation value of S²: 2.0115. The spin multiplicity is 3. The value obtained for the LUMO energy (spin up / spin down) is 0.1 / -4.3 eV. For the HOMO-LUMO gap (spin up / spin down), the calculation gives 0.2553 / 0.2115 hartree.

---

C6H11NO2 as an isolated structure, computed with ωB97M-V/def2-TZVPD.

CARTESIAN COORDINATES (ANGSTROEM)
C  -0.915  -1.635  -0.679
C  -1.561  -0.259  1.193
C  0.241  1.848  0.393
N  -0.506  -0.557  0.225
C  1.998  -0.031  -0.488
C  0.094  0.614  -0.498
C  1.924  -0.851  0.441
O  2.617  0.511  -1.515
O  -0.133  0.774  -1.713
H  1.908  0.861  -2.096
H  2.090  -1.428  1.315
H  -1.864  -1.407  -1.173
H  -0.161  -1.768  -1.449
H  -2.414  0.263  0.741
H  -1.170  0.351  2.005
H  -1.945  -1.191  1.608
H  -1.040  -2.556  -0.107
H  -0.731  2.333  0.486
H  0.956  2.522  -0.077
H  0.611  1.606  1.388

The value obtained for the LUMO energy is 0.0 eV. For the HOMO-LUMO gap, the calculation gives 0.3048 hartree.

---

One molecule with the formula C3H4N2O2, computed with ωB97M-V/def2-TZVPD.

CARTESIAN COORDINATES (ANGSTROEM)
N  0.256  -1.579  -0.264
C  1.780  0.620  -0.109
C  -0.458  -0.121  0.168
N  -1.692  0.166  -0.390
C  0.540  0.939  0.183
O  -0.432  -1.203  1.006
O  2.902  0.486  -0.402
H  1.189  -1.768  0.117
H  -2.025  1.119  -0.364
H  -2.333  -0.618  -0.374
H  0.273  1.959  0.430

As for the SMILES: N[C@]1(C=C=O)NO1. The value obtained for the LUMO energy is 0.6 eV. For the HOMO-LUMO gap, the calculation gives 0.3523 hartree.

---

A 7-piece molecular cluster, C29H76N6O11 overall, computed with ωB97M-V/def2-TZVPD.

CARTESIAN COORDINATES (ANGSTROEM)
C  11.184  1.015  -11.659
O  10.533  1.288  -10.652
N  10.996  1.720  -12.877
N  12.256  0.077  -11.611
H  11.226  1.401  -13.807
H  10.124  2.242  -12.825
H  12.492  -0.179  -10.674
H  12.844  -0.082  -12.404
C  15.763  1.751  -8.371
C  14.626  2.279  -9.223
O  13.895  3.223  -8.465
H  16.468  1.114  -8.949
H  15.445  1.120  -7.544
H  16.463  2.540  -8.084
H  13.961  1.458  -9.506
H  15.038  2.774  -10.102
H  13.006  2.918  -8.234
C  10.292  5.066  -10.804
C  10.238  5.684  -9.376
O  9.139  6.608  -9.343
H  9.615  4.198  -10.768
H  11.227  4.557  -11.053
H  9.939  5.805  -11.503
H  11.191  6.215  -9.316
H  10.079  4.919  -8.630
H  9.521  7.476  -9.185
C  12.930  10.593  -14.523
O  13.384  9.307  -14.773
C  14.055  8.760  -13.623
C  14.646  7.479  -14.149
N  13.699  6.544  -14.757
C  12.762  5.977  -13.785
C  11.747  5.125  -14.472
O  10.827  5.838  -15.248
C  10.057  6.813  -14.503
H  12.393  10.957  -15.397
H  13.820  11.224  -14.431
********

All image copyright VirtuousCirclePhotography / John Colson

Gandhi ?

What with all the recent economic and political upheaval, not to mention uncertainty in the world today, I have been giving a lot more thought to my own political and social beliefs of late. Whilst ive always been pretty steadfast in my own beliefs, ive never really been able to align myself with mainstream political values. I may have fairly right wing feelings towards some aspects of life, but also some fairly socialist views on others ,which is why I probably dont identify with any of the current political parties in the UK. So a friend of mine suggested I visit this site and take a short survey to get some sort of overall impression on where I stand on numerous issues. The survey asks a series of simple questions relating to Economic, Political, Moral, Sexual and Religious values, and then provides a personalised 'score' based on the responses.
Apparently Im a left wing libertarian with very similar beliefs to Gandhi... which is fine by me. Anyway here is my 'result' chart.....

Friday, February 5, 2010

Dirty Little Rabbits

I've seen loads of rock bands over the years.... from goth to thrash, gloomy shoe gazing grunge to glam rock cheese and most, if not all of them, have been great. But rarely have I seen or heard a band that has impressed me as much as the Dirty Little Rabbits did when supporting Lacuna Coil at the Academy in Birmingham this week.
Possibly best known as Sean 'Slipknot' Crahan's other band (but certainly no side project), they put on a show that left me grinning for hours. I downloaded their EP 'Simon' as soon as I got home and it hasnt left the turntables in Colson towers since. They are more or less the band I've been wanting to hear for years.
As youve no doubt realised, Im not the most eloquent of chaps, and to accurately describe the bands sound is by no means easy, so Ill leave it to Jordan Richardson of Blog Critic to describe their sound in this fantastic review of their recent EP....
And in the meantime, here are a couple of my shots from the bands gig in Birmingham on Monday. Finally, please please please do yourselves a favour and check out the bands site.... you wont be dissapointed...

All images copyright VirtuousCirclePhotography / John Colson

Lacuna Coil / Dirty Little Rabbits / Dommin: Birmingham 02 Academy 010210

My latest live gig review etc can be found here .... .....
In addition to Lacuna Coil, I also got to see Dirty Little Rabbits.... an awesome band from the states... I will write more about them soon ...
In the meantime... pop on over the Midlands Rocks and see what the fuss is all about.....

Oh, and thanks Hannah for the Cutting Crew knowledge ... :0)

Monday, February 1, 2010

Alex Moir, Yeah Sparrow and Kings of Spain - 310110

I had the pleasure of shooting a small gig at the Hare and Hounds in Birmingham last night. Three acoustic acts were on the menu. To read a review of the show pop on over here.... but here are a couple of shots to wet your appetites....

-- The article is interrupted by molecular data --
/*
DFT (ωB97M-V with the def2-TZVPD basis set) results for a structure of composition C100H206As3F18N10 at a distorted geometry.

```
337
Properties=species:S:1:pos:R:3:lowdin_charge:R:1
C -16.318 -13.957 24.701 -0.075
C -16.168 -12.988 23.408 -0.192
C -17.411 -13.051 22.470 -0.183
C -18.036 -14.485 22.422 -0.080
N -18.675 -14.855 21.057 -0.259
C -19.460 -16.081 21.164 -0.112
C -18.389 -17.258 21.066 -0.107
C -17.101 -16.640 20.473 -0.126
C -17.607 -15.259 20.082 -0.091
C -19.477 -13.716 20.522 -0.128
C -20.638 -13.172 21.437 -0.198
C -21.619 -12.421 20.516 -0.099
H -17.378 -13.832 25.013 0.068
H -15.739 -13.722 25.612 0.078
H -16.099 -15.000 24.436 0.063
H -15.345 -13.315 22.741 0.113
H -16.094 -11.903 23.602 0.113
H -16.968 -12.788 21.475 0.117
H -18.200 -12.314 22.738 0.110
H -18.917 -14.621 23.050 0.123
H -17.341 -15.238 22.772 0.114
H -20.231 -16.048 20.377 0.141
H -19.992 -16.162 22.138 0.134
H -18.845 -18.070 20.479 0.126
H -18.177 -17.591 22.079 0.107
H -16.875 -17.253 19.596 0.126
H -16.211 -16.736 21.127 0.133
H -18.018 -15.326 19.055 0.162
H -16.878 -14.486 20.201 0.122
H -20.005 -14.043 19.608 0.136
H -18.801 -12.893 20.216 0.144
H -20.274 -12.500 22.171 0.084
H -21.175 -14.033 21.841 0.109
H -21.069 -11.629 19.947 0.101
H -22.400 -11.958 21.144 0.060
H -22.164 -13.047 19.821 0.072
C -33.028 -13.340 29.510 -0.109
C -32.480 -13.499 28.114 -0.240
C -33.628 -13.924 27.137 -0.165
C -34.737 -12.863 27.180 -0.129
N -35.669 -12.828 25.998 -0.181
C -36.830 -11.692 26.062 -0.044
C -38.138 -12.406 25.788 -0.135
C -37.879 -13.811 26.350 -0.160
C -36.480 -14.159 26.014 -0.102
C -34.905 -12.695 24.672 -0.123
C -34.006 -11.455 24.569 -0.207
C -33.168 -11.547 23.282 -0.076
H -33.922 -13.939 29.722 0.093
H -33.124 -12.259 29.758 0.074
H -32.257 -13.647 30.236 0.074
H -31.776 -14.339 28.050 0.109
H -31.945 -12.592 27.810 0.080
H -33.861 -14.960 27.390 0.117
H -33.221 -13.991 26.128 0.099
H -34.206 -11.879 27.118 0.132
H -35.373 -12.831 28.014 0.117
H -36.624 -10.946 25.322 0.107
H -36.840 -11.265 27.101 0.150
H -38.329 -12.385 24.687 0.139
H -38.914 -11.832 26.236 0.118
H -38.554 -14.574 25.921 0.140
H -38.103 -13.937 27.426 0.136
H -36.427 -14.590 24.987 0.146
H -36.037 -14.900 26.686 0.131
H -35.748 -12.592 23.933 0.157
H -34.538 -13.685 24.601 0.101
H -33.266 -11.429 25.400 0.097
H -34.618 -10.580 24.586 0.102
H -32.369 -10.757 23.260 0.094
H -33.801 -11.435 22.451 0.061
H -32.689 -12.515 23.327 0.067
C -26.185 -7.064 28.736 -0.058
C -25.266 -7.029 27.456 -0.216
C -24.902 -5.605 27.035 -0.191
C -23.587 -5.205 27.591 -0.096
N -23.240 -3.696 27.534 -0.251
C -23.310 -3.281 26.119 -0.140
C -22.663 -1.931 26.035 -0.119
C -21.581 -2.063 27.159 -0.115
C -21.867 -3.386 27.911 -0.098
C -24.164 -2.889 28.379 -0.118
C -24.479 -3.471 29.738 -0.236
C -25.375 -2.559 30.548 -0.080
H -25.600 -6.886 29.621 0.071
H -26.696 -7.999 28.761 0.049
H -26.912 -6.314 28.548 0.058
H -25.864 -7.414 26.685 0.067
H -24.496 -7.803 27.476 0.115
H -25.706 -4.969 27.389 0.111
*/

All images copyright VirtuousCirclePhotography / John Colson